_Listing_
+++
No. 1
Diffraction record for PaTiPbO6. The powder XRD pattern is computed, not measured: it uses a crystal structure in Alexandria, relaxed with GGA-PBE and CuKα.
No peak broadening, texture or thermal motion is included.

Structural model:
Cell lengths 5.5909, 5.5909, 9.7509 Å; angles 90.00, 90.00, 120.00 degrees
Space group P-31c (No. 163)
Asymmetric unit:
Pa1 0.3333 0.6667 0.2500 (multiplicity 2)
Ti1 0.3333 0.6667 0.7500 (multiplicity 2)
Pb1 0.0000 0.0000 0.0000 (multiplicity 2)
O1 0.0246 0.3760 0.6405 (multiplicity 12)

Top 10 peaks for 2θ from 5° to 70°, sorted by position:
2theta, Rel. int.
20.48, 31
25.93, 100
32.02, 46
33.20, 11
41.65, 28
49.62, 40
53.48, 28
57.06, 15
60.05, 10
69.90, 10

No. 2
Diffraction record for RbThSe4. The powder XRD pattern is computed, not measured: it uses a crystal structure in Alexandria, relaxed with GGA-PBE and CuKα.
No peak broadening, texture or thermal motion is included.

Structural model:
Cell lengths 9.206, 9.908, 7.909 Å; angles 90.00, 90.00, 90.00 degrees
Space group Cccm (No. 66)
Asymmetric unit:
Rb1 0.000 0.000 0.250 (multiplicity 4)
Th1 0.000 0.500 0.250 (multiplicity 4)
Se1 0.116 0.274 0.000 (multiplicity 8)
Se2 0.205 0.390 0.500 (multiplicity 8)

Top 10 peaks for 2θ from 5° to 70°, sorted by position:
2theta, Rel. int.
13.13, 100
26.43, 41
28.89, 87
29.79, 78
30.91, 41
34.97, 69
41.39, 35
43.35, 34
59.61, 30
63.49, 27

No. 3
Diffraction record for K2PuBr2Cl4. The powder XRD pattern is computed, not measured: it uses a crystal structure in Alexandria, relaxed with GGA-PBE and CuKα.
No peak broadening, texture or thermal motion is included.

Structural model:
Cell lengths 7.424, 7.424, 10.957 Å; angles 90.00, 90.00, 90.00 degrees
Space group I4/mmm (No. 139)
Asymmetric unit:
K1 0.000 0.500 0.250 (multiplicity 4)
Pu1 0.000 0.000 0.000 (multiplicity 2)
Br1 0.000 0.000 0.253 (multiplicity 4)
Cl1 0.246 0.246 0.000 (multiplicity 8)

Top 10 peaks for 2θ from 5° to 70°, sorted by position:
2theta, Rel. int.
14.41, 100
16.89, 64
23.97, 32
27.21, 26
28.08, 40
32.69, 26
34.16, 45
36.58, 22
37.02, 19
48.00, 33

No. 4
Diffraction record for Tl2Bi2S5. The powder XRD pattern is computed, not measured: it uses a crystal structure in Alexandria, relaxed with GGA-PBE and CuKα.
No peak broadening, texture or thermal motion is included.

Structural model:
Cell lengths 5.520, 7.045, 8.702 Å; angles 113.84, 90.15, 112.78 degrees
Space group P-1 (No. 2)
Asymmetric unit:
Tl1 0.091 0.191 0.273 (multiplicity 2)
Bi1 0.360 0.720 0.146 (multiplicity 2)
S1 0.164 0.328 0.840 (multiplicity 2)
S2 0.438 0.873 0.544 (multiplicity 2)
S3 0.500 0.000 0.000 (multiplicity 1)

Top 10 peaks for 2θ from 5° to 70°, sorted by position:
2theta, Rel. int.
11.32, 28
19.22, 29
21.08, 67
22.75, 29
22.87, 100
26.13, 60
26.25, 54
30.64, 35
31.62, 41
32.44, 61

No. 5
Diffraction record for KSrBe2F8. The powder XRD pattern is computed, not measured: it uses a crystal structure in Alexandria, relaxed with GGA-PBE and CuKα.
No peak broadening, texture or thermal motion is included.

Structural model:
Cell lengths 5.7580, 5.7580, 17.5170 Å; angles 90.00, 90.00, 120.00 degrees
Space group R-3 (No. 148, hexagonal axes)
Asymmetric unit:
K1 0.0000 0.0000 0.0000 (multiplicity 3)
Sr1 0.0000 0.0000 0.5000 (multiplicity 3)
Be1 0.0000 0.0000 0.2603 (multiplicity 6)
F1 0.0000 0.0000 0.3493 (multiplicity 6)
F2 0.0234 0.7553 0.7681 (multiplicity 18)

Top 10 peaks for 2θ from 5° to 70°, sorted by position:
2theta, Rel. int.
18.50, 46
20.49, 40
27.10, 100
31.06, 68
34.74, 30
37.51, 46
44.18, 90
45.23, 37
49.47, 33
55.29, 43

No. 6
Diffraction record for Pm2SmTh. The powder XRD pattern is computed, not measured: it uses a crystal structure in Alexandria, relaxed with GGA-PBE and CuKα.
No peak broadening, texture or thermal motion is included.

Structural model:
Cell lengths 3.6395, 3.6395, 35.2572 Å; angles 90.00, 90.00, 120.00 degrees
Space group R3m (No. 160, hexagonal axes)
Asymmetric unit:
Pm1 0.0000 0.0000 0.0000 (multiplicity 3)
+++
_Activity_
Count the lines earlier on that contain the word "model" and give the number alone.
_Written answer_
6